## Brief
Could you say how many lines of the entries below hold the word "Kα1", as a bare number?

## File
Diffraction record for Tb3Sm7Mg. The X-ray powder pattern is calculated, not measured: it uses DFT lattice parameters and positions (PBE) and Cu Kα (weighted mean of Kα1 and Kα2).
Intensities are scaled so that the largest is 1000.

Cell lengths 7.0803, 7.0803, 8.6462 Å; angles 90.00, 90.00, 120.00 degrees
Space group P3m1 (No. 156)
Unique sites:
Tb: 0.1680 0.3360 0.0000 x3
Sm: 0.0049 0.5024 0.6654 x3
Sm: 0.3328 0.1664 0.3328 x3
Sm: 0.3333 0.6667 0.3325 x1
Mg: 0.0000 0.0000 0.6643 x1

Main lines, sorted by position (2θ = 10–90°):
- 2θ = 17.73°, intensity 117, (1 0 1)
- 2θ = 25.18°, intensity 92, (0 1 2)
- 2θ = 30.97°, intensity 1000, (0 2 1)
- 2θ = 35.91°, intensity 506, (2 0 2)
- 2θ = 51.64°, intensity 178, (2 2 0)
- 2θ = 51.75°, intensity 178, (0 2 4)
- 2θ = 61.46°, intensity 317, (4 0 1)
- 2θ = 61.57°, intensity 106, (2 0 5)

* * * * *

The following is a theoretical powder diffractogram of AcSmNO. It was derived from a DFT-relaxed cell (PBE, OQMD), using Cu Kα, 1.54184 Å.
No peak broadening, texture or thermal motion is included.

Most intense lines, 10° ≤ 2θ ≤ 90°, by angle:
h k l, 2θ/deg, intensity
1 2 0, 24.12, 27
2 0 0, 25.23, 24
1 2 1, 29.49, 100
2 0 1, 30.41, 33
0 0 2, 33.79, 30
0 4 0, 41.75, 16
3 2 0, 43.79, 26
0 4 2, 54.78, 25
3 2 2, 56.43, 25
1 2 3, 57.82, 16

Atomic structure:
a = 7.0607 Å, b = 8.6543 Å, c = 5.3048 Å
α = 90.00°, β = 90.00°, γ = 90.00°
Atoms (fractional coordinates):
Ac: 0.0604 0.1298 0.0000
Ac: 0.4396 0.1298 0.5000
Ac: 0.5604 0.8702 0.0000
Ac: 0.9396 0.8702 0.5000
Sm: 0.0871 0.6173 0.9997
Sm: 0.4129 0.6173 0.4997
Sm: 0.5871 0.3827 0.9997
Sm: 0.9129 0.3827 0.4997
N: 0.0799 0.6126 0.5019
N: 0.4201 0.6126 0.0019
N: 0.5799 0.3874 0.5019
N: 0.9201 0.3874 0.0019
O: 0.0899 0.1513 0.5002
O: 0.4101 0.1513 0.0002
O: 0.5899 0.8487 0.5002
O: 0.9101 0.8487 0.0002

* * * * *

The following is a computed PXRD pattern of BaNaF4. It was derived from the GGA-PBE geometry in Alexandria, using Cu Kα, 1.54184 Å.
No peak broadening, texture or thermal motion is included.

Crystal structure
a = 14.938 Å, b = 6.534 Å, c = 4.100 Å
α = 90.00°, β = 97.33°, γ = 90.00°
Space group C2/m (No. 12)
Symmetry-distinct sites (fractional):
Ba: 0.162 0.000 0.190 [4 per cell]
Na: 0.082 0.500 0.292 [4 per cell]
F: 0.000 0.243 0.000 [4 per cell]
F: 0.113 0.253 0.681 [8 per cell]
F: 0.226 0.500 0.256 [4 per cell]

Largest 6 diffraction maxima, low angle first, 5 to 70 degrees two-theta:
14.8°, intensity 35; 22.6°, intensity 100; 25.9°, intensity 53; 29.9°, intensity 35; 36.4°, intensity 42; 38.3°, intensity 76

* * * * *

Record 1
Structure and computed PXRD pattern of TbAl2H6 (a structure optimized by DFT (PBE); Cu Kα, 1.54184 Å).
No peak broadening, texture or thermal motion is included.

Peak list (10 most intense, 2θ from 5° to 70°, in order of rising 2θ)
- 21.29°, rel. 100, (1 1 1)
- 24.64°, rel. 24, (2 0 0)
- 35.12°, rel. 77, (2 2 0)
- 41.44°, rel. 56, (3 1 1)
- 43.37°, rel. 6, (2 2 2)
- 50.51°, rel. 15, (4 0 0)
- 55.41°, rel. 24, (3 3 1)
- 56.98°, rel. 10, (4 2 0)
- 63.01°, rel. 28, (4 2 2)
- 67.32°, rel. 17, (3 3 3)

Crystal structure
Unit cell a=7.2274 b=7.2274 c=7.2274 alpha=90.00 beta=90.00 gamma=90.00
Space group Fm-3m (No. 225)
Inequivalent atoms, fractional coordinates:
Tb  0.0000  0.0000  0.0000 [4 per cell]
Al  0.2500  0.2500  0.2500 [8 per cell]
H  0.0000  0.0000  0.2860 [24 per cell]

Record 2
Structure and computed PXRD pattern of TbAlH6 (a structure optimized by DFT (PBE); Cu Kα, 1.54184 Å).
No peak broadening, texture or thermal motion is included.

Peak list (10 most intense, 2θ from 5° to 70°, in order of rising 2θ)
- 22.20°, rel. 92, (1 0 1)
- 28.70°, rel. 100, (1 1 0)
- 34.27°, rel. 62, (0 1 2)
- 36.58°, rel. 25, (0 2 1)
- 45.29°, rel. 28, (2 0 2)
- 47.14°, rel. 28, (2 1 1)
- 50.85°, rel. 20, (3 0 0)
- 54.50°, rel. 35, (1 2 2)
- 54.64°, rel. 17, (1 1 3)
- 59.43°, rel. 13, (2 2 0)

Crystal structure
Unit cell a=6.2208 b=6.2208 c=5.9873 alpha=90.00 beta=90.00 gamma=120.00
Space group R-3m (No. 166, hexagonal axes)

## Outcome
1